'''
# 1
Material: AgIN2F
Method: DFT, PBE
State: optimized geometry

Cell: 4.824 4.824 4.499 Å, 90.00 90.00 90.00°
Positions (direct):
Ag 0.000 0.000 0.000
I 0.500 0.500 0.000
N 0.000 0.500 0.500
N 0.500 0.000 0.500
F 0.500 0.500 0.500

## Properties
Space-group type: No. 123
Energy relative to the lowest polymorph listed for this composition in meV per atom: 700

---

# 2
Material: NaAg2IF2
Method: DFT, PBE
State: optimized geometry

Cell: 6.208 6.157 6.352 Å, 90.00 93.81 90.00°
Positions (direct):
Na 0.025 0.250 0.458
Na 0.975 0.750 0.542
Ag 0.306 0.750 0.133
Ag 0.475 0.750 0.686
Ag 0.525 0.250 0.314
Ag 0.694 0.250 0.867
I 0.242 0.250 0.959
I 0.758 0.750 0.041
F 0.247 0.529 0.452
F 0.247 0.971 0.452
F 0.753 0.029 0.548
F 0.753 0.471 0.548

## Properties
Space-group type: No. 11
Uncorrected energy in eV per atom: -3.275

---

# 3
Material: NbAgI2F
Method: DFT, PBE
State: optimized geometry

Cell: 5.690 5.690 4.051 Å, 90.00 90.00 90.00°
Positions (direct):
Nb 0.000 0.000 0.000
Ag 0.500 0.500 0.000
I 0.000 0.500 0.500
I 0.500 0.000 0.500
F 0.500 0.500 0.500

## Properties
Space-group type: No. 123
Uncorrected energy in eV per atom: -3.294

=====

(1)
Below is a relaxed structure of Fe2AgIr, with properties calculated at the PBE level.

It has space group I-42d (No. 122), with a = 6.746 Å, b = 6.746 Å, c = 5.276 Å, α = 90.00°, β = 90.00° and γ = 90.00°. The inequivalent atoms are Fe at (0.209, 0.250, 0.125), Ag at (0.000, 0.000, 0.500) and Ir at (0.000, 0.000, 0.000).

Its total energy is -6.233 eV per atom. Its energy relative to the elements is 3.71 eV/f.u. The value obtained for the density of states at the Fermi level is 1.178 states/eV/atom.



(2)
Below is a relaxed structure of Zr3MnAs, with properties calculated at the PBE level.

It has space group Pm-3m (No. 221), with a = 4.779 Å, b = 4.779 Å, c = 4.779 Å, α = 90.00°, β = 90.00° and γ = 90.00°. The inequivalent atoms are Zr at (0.000, 0.000, 0.500), Mn at (0.000, 0.000, 0.000) and As at (0.500, 0.500, 0.500).

Its total energy is -7.715 eV per atom. The calculation puts the offset from the most stable computed form at 0 meV per atom. Its energy relative to the elements is 0.89 eV/f.u. The value obtained for the density of states at the Fermi level is 1.518 states/eV/atom.

=====

1.
# Nb4Pd12Pt GGA-PBE relaxed
data_Nb4Pd12Pt
_space_group_name_H-M_alt 'I m -3 m'
_space_group_IT_number 229
_space_group_name_Hall '-I 4 2 3'
_cell_length_a 8.263
_cell_length_b 8.263
_cell_length_c 8.263
_cell_angle_alpha 90.00
_cell_angle_beta 90.00
_cell_angle_gamma 90.00
loop_
_atom_site_label
_atom_site_type_symbol
_atom_site_fract_x
_atom_site_fract_y
_atom_site_fract_z
_atom_site_occupancy
Nb1 Nb 0.250 0.250 0.250 1
Pd1 Pd 0.000 0.000 0.301 1
Pd2 Pd 0.000 0.250 0.500 1
Pt1 Pt 0.000 0.000 0.000 1
# **Crystal system**: cubic
# **Final energy**: -6.374 eV/atom
# **Total magnetization**: 0.0 μB/cell
# **Energy relative to the elements**: 17 meV per atom
# **Density**: 10.85 g/cm³

=====

2.
# DyYAl3 GGA-PBE relaxed
data_DyYAl3
_space_group_name_H-M_alt 'C m c m'
_space_group_IT_number 63
_space_group_name_Hall '-C 2c 2'
_cell_length_a 3.563
_cell_length_b 27.608
_cell_length_c 4.532
_cell_angle_alpha 90.00
_cell_angle_beta 90.00
_cell_angle_gamma 90.00
loop_
_atom_site_label
_atom_site_type_symbol
_atom_site_fract_x
_atom_site_fract_y
_atom_site_fract_z
_atom_site_occupancy
Dy1 Dy 0.000 0.212 0.250 1
Y1 Y 0.000 0.072 0.750 1
Al1 Al 0.000 0.329 0.250 1
Al2 Al 0.000 0.381 0.750 1
Al3 Al 0.000 0.476 0.750 1
# **Crystal system**: orthorhombic
# **Final energy**: -4.918 eV/atom
# **Total magnetization**: 0.9 μB/cell
# **Energy relative to the elements**: -459 meV per atom
# **Density**: 4.95 g/cm³

=====

3.
# Y4RuAu GGA-PBE relaxed
data_Y4RuAu
_space_group_name_H-M_alt 'C 1 2/c 1'
_space_group_IT_number 15
_cell_length_a 8.398
_cell_length_b 12.378
_cell_length_c 6.281
_cell_angle_alpha 90.00
_cell_angle_beta 104.73
_cell_angle_gamma 90.00
loop_
_space_group_symop_operation_xyz
'x,y,z'
'''
Retype the rows earlier on character by character.
# 1
Material: AgIN2F
Method: DFT, PBE
State: optimized geometry

Cell: 4.824 4.824 4.499 Å, 90.00 90.00 90.00°
Positions (direct):
Ag 0.000 0.000 0.000
I 0.500 0.500 0.000
N 0.000 0.500 0.500
N 0.500 0.000 0.500
F 0.500 0.500 0.500

## Properties
Space-group type: No. 123
Energy relative to the lowest polymorph listed for this composition in meV per atom: 700

---

# 2
Material: NaAg2IF2
Method: DFT, PBE
State: optimized geometry

Cell: 6.208 6.157 6.352 Å, 90.00 93.81 90.00°
Positions (direct):
Na 0.025 0.250 0.458
Na 0.975 0.750 0.542
Ag 0.306 0.750 0.133
Ag 0.475 0.750 0.686
Ag 0.525 0.250 0.314
Ag 0.694 0.250 0.867
I 0.242 0.250 0.959
I 0.758 0.750 0.041
F 0.247 0.529 0.452
F 0.247 0.971 0.452
F 0.753 0.029 0.548
F 0.753 0.471 0.548

## Properties
Space-group type: No. 11
Uncorrected energy in eV per atom: -3.275

---

# 3
Material: NbAgI2F
Method: DFT, PBE
State: optimized geometry

Cell: 5.690 5.690 4.051 Å, 90.00 90.00 90.00°
Positions (direct):
Nb 0.000 0.000 0.000
Ag 0.500 0.500 0.000
I 0.000 0.500 0.500
I 0.500 0.000 0.500
F 0.500 0.500 0.500

## Properties
Space-group type: No. 123
Uncorrected energy in eV per atom: -3.294

=====

(1)
Below is a relaxed structure of Fe2AgIr, with properties calculated at the PBE level.

It has space group I-42d (No. 122), with a = 6.746 Å, b = 6.746 Å, c = 5.276 Å, α = 90.00°, β = 90.00° and γ = 90.00°. The inequivalent atoms are Fe at (0.209, 0.250, 0.125), Ag at (0.000, 0.000, 0.500) and Ir at (0.000, 0.000, 0.000).

Its total energy is -6.233 eV per atom. Its energy relative to the elements is 3.71 eV/f.u. The value obtained for the density of states at the Fermi level is 1.178 states/eV/atom.



(2)
Below is a relaxed structure of Zr3MnAs, with properties calculated at the PBE level.

It has space group Pm-3m (No. 221), with a = 4.779 Å, b = 4.779 Å, c = 4.779 Å, α = 90.00°, β = 90.00° and γ = 90.00°. The inequivalent atoms are Zr at (0.000, 0.000, 0.500), Mn at (0.000, 0.000, 0.000) and As at (0.500, 0.500, 0.500).

Its total energy is -7.715 eV per atom. The calculation puts the offset from the most stable computed form at 0 meV per atom. Its energy relative to the elements is 0.89 eV/f.u. The value obtained for the density of states at the Fermi level is 1.518 states/eV/atom.

=====

1.
# Nb4Pd12Pt GGA-PBE relaxed
data_Nb4Pd12Pt
_space_group_name_H-M_alt 'I m -3 m'
_space_group_IT_number 229
_space_group_name_Hall '-I 4 2 3'
_cell_length_a 8.263
_cell_length_b 8.263
_cell_length_c 8.263
_cell_angle_alpha 90.00
_cell_angle_beta 90.00
_cell_angle_gamma 90.00
loop_
_atom_site_label
_atom_site_type_symbol
_atom_site_fract_x
_atom_site_fract_y
_atom_site_fract_z
_atom_site_occupancy
Nb1 Nb 0.250 0.250 0.250 1
Pd1 Pd 0.000 0.000 0.301 1
Pd2 Pd 0.000 0.250 0.500 1
Pt1 Pt 0.000 0.000 0.000 1
# **Crystal system**: cubic
# **Final energy**: -6.374 eV/atom
# **Total magnetization**: 0.0 μB/cell
# **Energy relative to the elements**: 17 meV per atom
# **Density**: 10.85 g/cm³

=====

2.
# DyYAl3 GGA-PBE relaxed
data_DyYAl3
_space_group_name_H-M_alt 'C m c m'
_space_group_IT_number 63
_space_group_name_Hall '-C 2c 2'
_cell_length_a 3.563
_cell_length_b 27.608
_cell_length_c 4.532
_cell_angle_alpha 90.00
_cell_angle_beta 90.00
_cell_angle_gamma 90.00
loop_
_atom_site_label
_atom_site_type_symbol
_atom_site_fract_x
_atom_site_fract_y
_atom_site_fract_z
_atom_site_occupancy
Dy1 Dy 0.000 0.212 0.250 1
Y1 Y 0.000 0.072 0.750 1
Al1 Al 0.000 0.329 0.250 1
Al2 Al 0.000 0.381 0.750 1
Al3 Al 0.000 0.476 0.750 1
# **Crystal system**: orthorhombic
# **Final energy**: -4.918 eV/atom
# **Total magnetization**: 0.9 μB/cell
# **Energy relative to the elements**: -459 meV per atom
# **Density**: 4.95 g/cm³

=====

3.
# Y4RuAu GGA-PBE relaxed
data_Y4RuAu
_space_group_name_H-M_alt 'C 1 2/c 1'
_space_group_IT_number 15
_cell_length_a 8.398
_cell_length_b 12.378
_cell_length_c 6.281
_cell_angle_alpha 90.00
_cell_angle_beta 104.73
_cell_angle_gamma 90.00
loop_
_space_group_symop_operation_xyz
'x,y,z'